
I'm new to Ember and I'm trying to create an easy app where I have 2 models, Mountains and Ranges. A range has many mountains while a mountain belongs to a range. I want to create a relationship between them. I've searched through the web but I've found different explanations and I'm still struggling with this problem.

My models are:


import DS from 'ember-data';
export default DS.Model.extend({
    name: DS.attr('string'),
    altitude: DS.attr('number'),
    range: DS.belongsTo('range', {async: true})


import DS from 'ember-data';
export default DS.Model.extend({
    name: DS.attr('string'),
    length: DS.attr('number'),
    mountains: DS.hasMany('mountain', {async: true})

My mirage/scenario/default.js file looks like this:

export default function(server) 
    var himalaya = server.create('range', {id: 1, name:'Himalaya', length:'16598' });
    var karakorum = server.create('range', {id: 2, name:'Karakorum', length:'34801' });

    var everest = server.create('mountain', {id:1, name: 'Everest', altitude: '8871', range_id:1 });
    var K2 = server.create('mountain', {id:2, name: 'K2', altitude: '8657', range_id:2 });

and these are mirage/factories/range.js and mirage/factories/mountain.js files:

What comes next are materials data, not part of the page
........
! PBE SmDyC4, optimized geometry; values from VASP
! Space group = C2/m (12)
! Energy of formation from the pure elements = -169 meV/atom
&SYSTEM
  ibrav = 0, nat = 6, ntyp = 3
/
ATOMIC_SPECIES
Sm 150.36 Sm.upf
Dy 162.50 Dy.upf
C 12.01 C.upf
CELL_PARAMETERS angstrom
3.6722 -1.8562 0.0000
3.6722 1.8562 0.0000
-3.4811 0.0000 6.4148
ATOMIC_POSITIONS angstrom
Sm 0.0000 0.0000 0.0000
Dy 1.9316 0.0000 3.2074
C -1.3219 0.0000 5.0849
C -0.2006 0.0000 4.4313
C 4.0638 0.0000 1.9834
C 5.1852 0.0000 1.3298


! PBE Dy3SnC, optimized geometry; values from VASP
! Space group = Pm-3m (221)
! Energy of formation from the pure elements = -628 meV/atom
&SYSTEM
  ibrav = 0, nat = 5, ntyp = 3
/
ATOMIC_SPECIES
Dy 162.50 Dy.upf
Sn 118.71 Sn.upf
C 12.01 C.upf
CELL_PARAMETERS angstrom
4.8904 0.0000 0.0000
0.0000 4.8904 0.0000
0.0000 0.0000 4.8904
ATOMIC_POSITIONS angstrom
Dy 0.0000 0.0000 2.4452
Dy 0.0000 2.4452 0.0000
Dy 2.4452 0.0000 0.0000
Sn 2.4452 2.4452 2.4452
C 0.0000 0.0000 0.0000


! PBE TbDyC4, optimized geometry; values from VASP
! Space group = C2/m (12)
! Energy of formation from the pure elements = -189 meV/atom
&SYSTEM
  ibrav = 0, nat = 6, ntyp = 3
/
ATOMIC_SPECIES
Tb 158.93 Tb.upf
Dy 162.50 Dy.upf
C 12.01 C.upf
CELL_PARAMETERS angstrom
3.6207 -1.8400 0.0000
3.6207 1.8400 0.0000
-3.4688 0.0000 6.3499
ATOMIC_POSITIONS angstrom
Tb 0.0000 0.0000 0.0000
Dy 1.8863 0.0000 3.1749
C -1.3505 0.0000 5.0886
C -0.2282 0.0000 4.4260
C 4.0008 0.0000 1.9239
C 5.1231 0.0000 1.2613


Q: Among the records above, which one has the lowest energy of formation from the pure elements?
A: Dy3SnC


Q: Among the records above, which one has the lowest energy of formation from the pure elements?
A: Dy3SnC
........

import Mirage, {faker} from 'ember-cli-mirage';

export default Mirage.Factory.extend({


Is this the right way to set up a relationship with mirage in Ember-CLI ? I'd also like to show in the himalaya page (I've already created a route and a template) all the mountains that belong to the range himalaya. How can I achieve this?

Thanks in advance.


2 Answers


Currently, you have to do relationship bookkeeping manually, so yes, you're going the right way. Note that you might want to update ranges with mountain ids:

var himalaya = server.create('range', {id: 1, name:'Himalaya', length:'16598' });
var karakorum = server.create('range', {id: 2, name:'Karakorum', length:'34801' });

**Inserted here: crystal structures:**
-- begin --
This record from the Materials Project describes a geometry-optimized Li2Mn2P2H12O15 structure. The functional is PBE with a Hubbard U.

Results
Formation enthalpy at 0 K: -1.781 eV per atom
Theoretical density: 2.2 Mg/m³
Magnetic moment: 7.999 μB/f.u.
Crystal system: monoclinic

a = 11.460 Å, b = 11.460 Å, c = 12.174 Å
α = 86.06°, β = 86.06°, γ = 24.67°
Positions (direct):
Li: 0.239 0.974 0.071
Li: 0.974 0.239 0.571
Li: 0.028 0.748 0.430
Li: 0.748 0.028 0.930
Mn: 0.425 0.070 0.124
Mn: 0.925 0.568 0.378
Mn: 0.070 0.425 0.624
Mn: 0.568 0.925 0.878
P: 0.821 0.504 0.213
P: 0.504 0.821 0.713
P: 0.491 0.171 0.288
P: 0.171 0.491 0.788
H: 0.469 0.561 0.149
H: 0.839 0.226 0.230
H: 0.561 0.469 0.649
H: 0.016 0.111 0.375
H: 0.226 0.839 0.730
H: 0.111 0.016 0.875
H: 0.269 0.960 0.394
H: 0.960 0.269 0.894
H: 0.900 0.628 0.066
H: 0.364 0.094 0.433
H: 0.628 0.900 0.566
H: 0.094 0.364 0.933
H: 0.027 0.733 0.109
H: 0.733 0.027 0.609
H: 0.884 0.981 0.125
H: 0.763 0.155 0.274
H: 0.981 0.884 0.625
H: 0.432 0.526 0.350
H: 0.262 0.723 0.057
H: 0.155 0.763 0.774
H: 0.269 0.736 0.440
H: 0.526 0.432 0.850
H: 0.723 0.262 0.557
H: 0.736 0.269 0.940
O: 0.350 0.709 0.092
O: 0.709 0.350 0.592
O: 0.148 0.012 0.431
O: 0.936 0.281 0.186
O: 0.012 0.148 0.931
O: 0.750 0.578 0.338
O: 0.281 0.936 0.686
O: 0.559 0.780 0.144
O: 0.578 0.750 0.838
O: 0.780 0.559 0.644
O: 0.049 0.398 0.190
O: 0.184 0.244 0.470
O: 0.398 0.049 0.690
O: 0.748 0.812 0.030
O: 0.244 0.184 0.970
O: 0.596 0.944 0.311
O: 0.812 0.748 0.530
O: 0.944 0.596 0.811
O: 0.217 0.433 0.358
O: 0.416 0.243 0.163
O: 0.433 0.217 0.858
O: 0.716 0.053 0.316
O: 0.243 0.416 0.663
O: 0.981 0.850 0.070
O: 0.053 0.716 0.816
O: 0.850 0.981 0.570
O: 0.281 0.651 0.405
O: 0.695 0.297 0.250
O: 0.651 0.281 0.905
O: 0.297 0.695 0.750

* * * * *

SnCSNF GGA-PBE optimized geometry; energy of formation = -0.785 eV/atom; DFT total energy = -6.117 eV per atom
1.0
7.813 0.000 0.000
0.000 4.399 0.000
0.000 0.000 12.442
Sn C S N F
4 4 4 4 4
Cartesian
1.094 1.100 1.173
2.812 3.299 7.394
5.000 1.100 5.048
6.719 3.299 11.269
0.540 3.299 4.873
3.367 1.100 11.094
4.446 3.299 1.348
7.273 1.100 7.569
0.629 1.100 8.687
3.277 3.299 2.466
4.535 1.100 9.976
7.183 3.299 3.755
1.426 3.299 5.661
2.480 1.100 11.883
5.333 3.299 0.560
6.386 1.100 6.781
0.612 3.299 0.339
3.294 1.100 6.560
4.518 3.299 5.882
7.201 1.100 12.103

* * * * *

Record 1
16
Lattice="-4.1212 2.0661 -2.6972 -4.2421 -0.3627 6.2039 2.4615 7.6943 2.1329" Properties=species:S:1:pos:R:3 comment="In3Ir r²SCAN optimized geometry" sg="No. 62" ef_mev_per_atom=-275 mass_density_g_cm3=10.616 pbc="T T T"
In -2.6554 5.4567 1.5227
In -0.5673 5.7623 4.4153
In -4.7624 8.7626 4.8381
In -5.3345 3.6354 1.2242
In -1.1394 0.6351 0.8014
In -4.0745 6.2758 6.6101
In -3.2464 3.9411 4.1169
In -1.8273 3.1219 -0.9705
In -5.7258 5.7512 4.0033
In -1.6921 8.4680 2.3575
In -0.1761 3.6465 1.6362
In -4.2098 0.9297 3.2821
Ir -2.7719 2.6934 1.6652
Ir -3.1300 6.7043 3.9744
Ir -2.5590 7.6628 -0.1420
Ir -3.3429 1.7350 5.7816
-- stop --

var everest = server.create('mountain', {id:1, name: 'Everest', altitude: '8871', range_id:1 });
var k2 = server.create('mountain', {id:2, name: 'K2', altitude: '8657', range_id:2 });

server.db.ranges.update(himalaya.id,  {mountain_ids: [everest.id]});
server.db.ranges.update(karakorum.id, {mountain_ids: [k2.id]});

But Sam Selikoff is working hard on Mirage and soon it will be possible to do something like this:

(Data records from another source follow)
........
# MnSbPt PBE relaxed
# - E above lowest polymorph: 371 meV per atom
data_MnSbPt
_symmetry_space_group_name_H-M 'F -4 3 m'
_symmetry_Int_Tables_number 216
_symmetry_space_group_name_Hall 'F -4 2 3'
_cell_length_a 6.260
_cell_length_b 6.260
_cell_length_c 6.260
_cell_angle_alpha 90.00
_cell_angle_beta 90.00
_cell_angle_gamma 90.00
loop_
_atom_site_label
_atom_site_fract_x
_atom_site_fract_y
_atom_site_fract_z
_atom_site_occupancy
Mn1 0.000 0.000 0.000 1
Sb1 0.250 0.250 0.750 1
Pt1 0.000 0.000 0.500 1


The following is a PBE calculation of a geometry-optimized CrS structure, from Materials Project.

Structure (CIF):
```
data_CrS
_symmetry_space_group_name_H-M 'P 63/m m c'
_symmetry_Int_Tables_number 194
_symmetry_space_group_name_Hall '-P 6c 2c'
_cell_length_a 3.3860
_cell_length_b 3.3860
_cell_length_c 5.7456
_cell_angle_alpha 90.00
_cell_angle_beta 90.00
_cell_angle_gamma 120.00
loop_
_atom_site_label
_atom_site_fract_x
_atom_site_fract_y
_atom_site_fract_z
_atom_site_occupancy
Cr1 0.0000 0.0000 0.0000 1
S1 0.3333 0.6667 0.2500 1
```


The following is a PBE calculation of a geometry-optimized Y3Al19Ni5 structure, from Materials Project.

Structure (CIF):
```
data_Y3Al19Ni5
_symmetry_space_group_name_H-M 'C m c m'
_symmetry_Int_Tables_number 63
_symmetry_space_group_name_Hall '-C 2c 2'
_cell_length_a 4.109
_cell_length_b 16.063
_cell_length_c 27.263
_cell_angle_alpha 90.00
_cell_angle_beta 90.00
_cell_angle_gamma 90.00
loop_
_atom_site_label
_atom_site_fract_x
_atom_site_fract_y
_atom_site_fract_z
_atom_site_occupancy
Y1 0.000 0.112 0.250 1
Y2 0.000 0.334 0.135 1
Al1 0.000 0.036 0.601 1
Al2 0.000 0.080 0.702 1
Al3 0.000 0.094 0.037 1
Al4 0.000 0.129 0.135 1
Al5 0.000 0.265 0.029 1
Al6 0.000 0.276 0.693 1
Al7 0.000 0.291 0.588 1
Al8 0.000 0.306 0.250 1
Al9 0.000 0.433 0.031 1
Al10 0.000 0.464 0.674 1
Ni1 0.000 0.158 0.542 1
Ni2 0.000 0.446 0.585 1
Ni3 0.000 0.455 0.250 1
```


The following is a PBE calculation of a geometry-optimized AlNi3C structure, from Materials Project.

Structure (CIF):
```
data_AlNi3C
_symmetry_space_group_name_H-M 'P m -3 m'
_symmetry_Int_Tables_number 221
_symmetry_space_group_name_Hall '-P 4 2 3'
_cell_length_a 3.761
_cell_length_b 3.761
_cell_length_c 3.761
_cell_angle_alpha 90.00
_cell_angle_beta 90.00
_cell_angle_gamma 90.00
loop_
_atom_site_label
_atom_site_fract_x
_atom_site_fract_y
_atom_site_fract_z
_atom_site_occupancy
Al1 0.000 0.000 0.000 1
Ni1 0.000 0.500 0.500 1
C1 0.500 0.500 0.500 1
```


# BaSrCe2O6 PBE relaxed
# - E above lowest polymorph: 93 meV per atom
data_BaSrCe2O6
_symmetry_space_group_name_H-M 'P 4/m m m'
_symmetry_Int_Tables_number 123
_symmetry_space_group_name_Hall '-P 4 2'
_cell_length_a 4.458
_cell_length_b 4.458
_cell_length_c 8.913
_cell_angle_alpha 90.00
_cell_angle_beta 90.00
_cell_angle_gamma 90.00
loop_
_atom_site_label
_atom_site_fract_x
_atom_site_fract_y
_atom_site_fract_z
_atom_site_occupancy
Ba1 0.000 0.000 0.000 1
Sr1 0.000 0.000 0.500 1
Ce1 0.500 0.500 0.251 1
........

var everest = server.create('mountain', {id:1, name: 'Everest', altitude: '8871' });
var k2 = server.create('mountain', {id:2, name: 'K2', altitude: '8657' });

var himalaya = everest.create('range', {id: 1, name:'Himalaya', length:'16598' });
var karakorum = k2.create('range', {id: 2, name:'Karakorum', length:'34801' });

I'd also like to show in the himalaya page (I've already created a route and a template) all the mountains that belong to the range himalaya. How can I achieve this?

The straightforward solution is to create the following Mirage routes:

  • mountains/:id
  • ranges/:id

If your relationships are synchronous, in your Ember range route you'll have to request a range, get its related mountain ids and request them too.

If your relationships are async, then you just have to request the range. Ember/ED will automatically request missing related records when they are accessed from the template. But this will cause a flash of missing data on the page.

A more elegant solution is sideloading. You only need a ranges/:id Mirage route. When a range is requested via that route, you have Mirage serve (sideload) related mountains in addition to the requested range.

Also take into consideration the JSON structure you're using. If you're using the oldschool adapter/serializer, the API is kinda arbitrary and you're fine. If you're using the new JSONAPI adapter, then you need to comply with the JSONAPI spec. In order to have certain data sideloaded, you need to explicitly ask for it.

JSONAPI serialization is not yet available in Mirage out of the box. Eventually you'll be able to use shorthands, but currently you'll have to manually format the data to the JSONAPI format.


For those still coming across this answer, Mirage now has full association support.
